Макара Discharging Flashcards
рейсовый чартер, договор фрахтования
charter party
bill of lading, B/L, BOL
to be governed
// The procedure of cargo delivery is governed by a number of cargo documents.
склад, пакгауз
ангар, навес
впоследствии, позже
// He was badly injured in the crash and subsequently died.
чистый коносамент
clean bill of lading
расписка получателя
receiver’s receipt
убеждаться, удостоверяться
to ascertain
// She ascertained that fraud had been committed.
спор, разногласия
(These crystal structures were left in the piece by mistake)
'''
Entry 1:
# YMgGa (GGA-PBE, relaxed)
data_YMgGa
_chemical_formula_sum 'Y4 Mg4 Ga4'
_cell_length_a 6.941
_cell_length_b 6.941
_cell_length_c 6.941
_cell_angle_alpha 90.00
_cell_angle_beta 90.00
_cell_angle_gamma 90.00
_space_group_name_H-M_alt 'F -4 3 m'
_space_group_IT_number 216
_space_group_name_Hall 'F -4 2 3'
loop_
_atom_site_label
_atom_site_fract_x
_atom_site_fract_y
_atom_site_fract_z
Y1 0.000 0.000 0.000
Mg1 0.250 0.250 0.750
Ga1 0.250 0.250 0.250
# ΔH_f (0 K): 232 meV per atom
# Crystal system: cubic

---

Entry 2:
# YMgGa (GGA-PBE, relaxed)
data_YMgGa
_chemical_formula_sum 'Y2 Mg2 Ga2'
_cell_length_a 4.315
_cell_length_b 4.315
_cell_length_c 7.491
_cell_angle_alpha 90.00
_cell_angle_beta 90.00
_cell_angle_gamma 90.00
_space_group_name_H-M_alt 'P 4/n m m'
_space_group_IT_number 129
loop_
_space_group_symop_operation_xyz
'x,y,z'
'-x,-y,-z'
'-y+1/2,x,z'
'y+1/2,-x,-z'
'-x+1/2,-y+1/2,z'
'x+1/2,y+1/2,-z'
'y,-x+1/2,z'
'-y,x+1/2,-z'
'x+1/2,-y,-z'
'-x+1/2,y,z'
'-y,-x,-z'
'y,x,z'
'-x,y+1/2,-z'
'x,-y+1/2,z'
'y+1/2,x+1/2,-z'
'-y+1/2,-x+1/2,z'
loop_
_atom_site_label
_atom_site_fract_x
_atom_site_fract_y
_atom_site_fract_z
Y1 0.250 0.250 0.154
Mg1 0.250 0.750 0.500
Ga1 0.250 0.250 0.753
# ΔH_f (0 K): -410 meV per atom
# Crystal system: tetragonal


First-principles (PBE-GGA) data for a relaxed BaAs2OsBr crystal, as listed in Alexandria via LeMat-Bulk.

a = 4.797 Å, b = 4.797 Å, c = 5.799 Å
α = 90.00°, β = 90.00°, γ = 90.00°
Fractional coordinates of all 5 atoms:
As (0.500, 0.000, 0.000)
As (0.000, 0.500, 0.000)
Br (0.000, 0.000, 0.500)
Ba (0.500, 0.500, 0.500)
Os (0.000, 0.000, 0.000)

Fermi-level density of states: 3.49 states/eV/f.u.
energy relative to the elements, uncorrected: -0.31 eV/atom
excess energy over the best structure of this formula in the dataset: 0 meV/atom
'''
// The government and the farmers are disputing about the land for the airport.
требование, претензия
What is charter party?
A Charter party is the contract between the owner of the vessel and the charterer for the use of the vessel.
-- Records of crystals that have nothing to do with the entry --
........
[1]
Below is an optimized crystal structure of YHf2Ag, with properties calculated at the PBE-GGA level.

Lattice parameters (Å, degrees): 5.012 5.012 5.012 60.00 60.00 60.00
Fractional positions:
Y  0.000  0.000  0.000
Hf  0.250  0.250  0.250
Hf  0.750  0.750  0.750
Ag  0.500  0.500  0.500

[2]
Below is an optimized crystal structure of YHfAg, with properties calculated at the PBE-GGA level.

Lattice parameters (Å, degrees): 5.152 5.152 5.927 90.00 90.00 120.00
Fractional positions:
Y  0.333  0.667  0.250
Y  0.667  0.333  0.750
Hf  0.333  0.667  0.750
Hf  0.667  0.333  0.250
Ag  0.000  0.000  0.000
Ag  0.000  0.000  0.500

[3]
Below is an optimized crystal structure of YHfAg2, with properties calculated at the PBE-GGA level.

Lattice parameters (Å, degrees): 7.919 7.919 6.344 51.38 51.38 90.00
Fractional positions:
Y  0.500  0.500  0.000
Y  0.250  0.750  0.500
Hf  0.000  0.000  0.000
Hf  0.750  0.250  0.500
Ag  0.647  0.125  0.250
Ag  0.103  0.625  0.250
Ag  0.375  0.353  0.750
Ag  0.875  0.897  0.750

[4]
Below is an optimized crystal structure of YHfAg, with properties calculated at the PBE-GGA level.

Lattice parameters (Å, degrees): 8.513 6.821 4.906 90.00 90.00 90.00
Fractional positions:
Y  0.000  0.000  0.000
Y  0.500  0.500  0.500
Y  0.500  0.000  0.500
Y  0.000  0.500  0.000
Hf  0.333  0.250  0.000
Hf  0.167  0.750  0.500
Hf  0.667  0.750  0.000
Hf  0.833  0.250  0.500
Ag  0.667  0.250  0.000
Ag  0.833  0.750  0.500
Ag  0.333  0.750  0.000
Ag  0.167  0.250  0.500

[5]
Below is an optimized crystal structure of YHfAg, with properties calculated at the PBE-GGA level.

Lattice parameters (Å, degrees): 3.377 3.377 6.636 104.74 104.74 90.00
Fractional positions:
Y  0.999  0.999  0.998
Hf  0.681  0.681  0.361
Ag  0.320  0.320  0.641

[6]
Below is an optimized crystal structure of YHfAg, with properties calculated at the PBE-GGA level.

Lattice parameters (Å, degrees): 10.003 4.850 3.308 90.00 89.96 118.99
Fractional positions:
Y  0.759  0.235  0.571
Y  0.170  0.146  0.570
Hf  0.527  0.503  0.071
Hf  0.403  0.880  0.572
Ag  0.870  0.846  0.071
Ag  0.076  0.552  0.070

[7]
Below is an optimized crystal structure of YHfAg2, with properties calculated at the PBE-GGA level.

Lattice parameters (Å, degrees): 4.989 4.989 4.989 60.00 60.00 60.00
Site moments in Bohr magnetons follow the coordinates.
Fractional positions:
Y  0.000  0.000  0.000  0.13
Hf  0.500  0.500  0.500  0.33
Ag  0.250  0.250  0.250  0.03
Ag  0.750  0.750  0.750  0.03

[8]
Below is an optimized crystal structure of YHfAg3, with properties calculated at the PBE-GGA level.

Lattice parameters (Å, degrees): 5.140 5.140 5.140 90.00 90.00 90.00
Fractional positions:
Y  0.500  0.500  0.500
Hf  0.000  0.000  0.000
Ag  0.000  0.500  0.000
Ag  0.000  0.000  0.500
Ag  0.500  0.000  0.000

[9]
Below is an optimized crystal structure of YHfAg, with properties calculated at the PBE-GGA level.

Lattice parameters (Å, degrees): 4.464 4.464 7.298 90.00 90.00 90.00
Fractional positions:
........
What is a Bill of lading?
A bill of lading is a legal document issued by a carrier to a shipper that details the type, quantity and destination of the goods being carried.
What is an original bill of lading?
An original bill of lading is a document that serves as proof of ownership of the importer’s good.
What is a clean bill of lading?
Clean bill of lading is a document that shows that goods being transported and their containers are in good condition.
штурманская расписка
mate’s receipt
What is a clean mate’s receipt?
It means that commodities are in good condition and are correctly packaged.
What is a foul (qualified) mate’s receipt?
When the receipt contains any adverse remarks as to the quality or condition of the goods packing.
неблагоприятный, враждебный
бортовой коносамент
on board bill of lading
Signifies that goods have been loaded onto a cargo ship.
деловой коносамент
delivery order
A delivery order is a document that can be issued by the owner of freight, consignee, shipper or a carrier to deliver the goods to another party. A delivery order should be differentiated from the bill of lading.
застрахованный коносамент
insured bill of lading
Marine insurance that makes sure that exporters are paid, and importers receive the goods.
именной коносамент
straight bill of lading
a document in which a seller agrees to use a specific transport option to ship goods to a certain location, and the bill is then assigned to a specifically named consignee. Due to its non-negotiable nature, it cannot be assigned to anyone but that party.
могущий служить предметом переговоров
коносамент на груз, принятый для погрузки
Received for shipment Bill of lading
Denotes that merchandise has been received, but is not guaranteed to have already been loaded onto a shipping vessel.
линейный коносамент
Liner Bill of lading
Used in the liner trades.
линейные перевозки
liner trades
коносамент с оговорками (грязный, нечистый)
Claused / unclean bill of lading
Contains notation or remarks as to defects in the goods or packaging. Aka faul or dirty B/L.
местный коносамент
local bill of lading
With reference to a through bill of lading, according to which the cargo is accepted for transportation.
ордерный или оборотный коносамент
order bill of lading
Used when the goods are being shipped before they’re paid for.
прямой коносамент
direct bill of lading
Used to specify that the vessel that picked up the cargo will be the same vessel that will drop it to the final destination.
сборный или групповой коносамент
combined bill of lading
Carrier uses more than one mode of transport to reach the goods to final destination.
сквозной коносамент
through bill of lading
This type permits the carrier to pass the shipment via different modes of transportation as required by the cargo.
'''
No. 1
Below is a relaxed structure of Hg2IBr3, with properties calculated at the PBE-GGA level.

Calculated values
Energy (eV per atom): -1.589

Geometry as POSCAR:
```
Hg2IBr3
1.0
4.2765 0.0000 0.0000
0.0000 4.3679 0.0000
0.0000 0.0000 12.3834
Hg I Br
2 1 3
Direct
0.0000 0.0000 0.0000
0.5000 0.5000 0.4941
0.5000 0.0000 0.6385
0.0000 0.5000 0.3614
0.0000 0.5000 0.8726
0.5000 0.0000 0.1296
```

---

No. 2
Below is a relaxed structure of HgIBr, with properties calculated at the PBE-GGA level.

Calculated values
Energy (eV per atom): -1.534

Geometry as POSCAR:
```
HgIBr
1.0
4.3105 0.0000 0.0000
0.0000 4.4719 0.0000
0.0000 0.0000 12.5554
Hg I Br
2 2 2
Direct
0.2500 0.2500 0.2447
0.7500 0.7500 0.7553
0.2500 0.7500 0.3846
0.7500 0.2500 0.6154
0.2500 0.7500 0.8856
0.7500 0.2500 0.1144
```

---

No. 3
Below is a relaxed structure of HgIBr, with properties calculated at the PBE-GGA level.

Calculated values
Energy (eV per atom): -1.532

Geometry as POSCAR:
```
HgIBr
1.0
4.3832 0.0000 0.0000
0.0000 4.3832 0.0000
0.0000 0.0000 12.3912
Hg I Br
2 2 2
Direct
0.0000 0.5000 0.0000
0.5000 0.0000 0.5000
0.0000 0.0000 0.3565
0.0000 0.0000 0.8565
0.5000 0.5000 0.1300
0.5000 0.5000 0.6300
```

---

No. 4
Below is a relaxed structure of Hg2IBr, with properties calculated at the PBE-GGA level.

Calculated values
Energy (eV per atom): -1.275

Geometry as POSCAR:
```
Hg2IBr
1.0
-2.4597 2.4597 5.7870
2.4597 -2.4597 5.7870
2.4597 2.4597 -5.7870
Hg I Br
2 1 1
Direct
0.0000 0.0000 0.0000
0.2289 0.2289 0.0000
0.7611 0.7611 0.0000
0.4555 0.4555 0.0000
```

---

No. 5
Below is a relaxed structure of HgIBr, with properties calculated at the PBE-GGA level.

Calculated values
Energy (eV per atom): -1.530

Geometry as POSCAR:
```
HgIBr
1.0
4.3763 0.0000 0.0000
0.0000 4.3763 0.0000
0.0000 0.0000 12.3507
Hg I Br
2 2 2
Direct
0.0000 0.0000 0.0000
0.5000 0.5000 0.5000
0.0000 0.5000 0.6473
0.5000 0.0000 0.3527
0.0000 0.5000 0.1274
0.5000 0.0000 0.8726
```

---

No. 6
Below is a relaxed structure of Hg2I3Br, with properties calculated at the PBE-GGA level.

Calculated values
Energy (eV per atom): -1.477

Geometry as POSCAR:
```
Hg2I3Br
1.0
4.3965 0.0000 0.0000
0.0000 4.4809 0.0000
0.0000 0.0000 12.6224
Hg I Br
2 3 1
Direct
0.0000 0.0000 0.0000
0.5000 0.5000 0.4950
0.0000 0.5000 0.3522
0.0000 0.5000 0.8623
0.5000 0.0000 0.6371
0.5000 0.0000 0.1267
```

---

No. 7
Below is a relaxed structure of Tl5Hg2I4Br5, with properties calculated at the PBE-GGA level.

Calculated values
Energy (eV per atom): -2.308

Geometry as POSCAR:
```
Tl5Hg2I4Br5
1.0
-4.3222 4.3222 15.2319
4.3222 -4.3222 15.2319
4.3222 4.3222 -15.2319
Tl Hg I Br
10 4 8 10
Direct
0.1080 0.1080 0.0000
0.1501 0.6501 0.8001
0.2500 0.2500 0.0000
0.3499 0.1501 0.5000
0.3920 0.3920 0.0000
0.6080 0.6080 0.0000
0.6501 0.8499 0.5000
0.7500 0.7500 0.0000
0.8499 0.3499 0.1999
0.8920 0.8920 0.0000
0.1425 0.6425 0.5000
0.3575 0.8575 0.5000
0.6425 0.1425 0.5000
0.8575 0.3575 0.5000
0.0028 0.5028 0.8859
0.1169 0.0028 0.5000
'''
морская накладная
Sea Waybill
Serves as the receipt for the freight and contract of carriage, but, unlike B/L, does not serve as a documentation of title.
таможенная декларация
Bill of entry
Is filed with the customs authorities by the importer at the time of import of goods to the country.
сертификат / свидетельство происхождения
Certificate of Origin
A declaration that the goods are produced in the country following certain prescribed requirements.
ФСС, фитосанитарный сертификат
Health or Phytosanitary Certificate
Normally used for the export of plant or plant products. It certifies that the goods being exported meet safety standards and are suitable for human consumption.
Декларация об опасных грузах
Dangerous Goods Declaration